Photographing Australian Plants
Depth of field — a simple outline
Depth of field is the term to describe how much of the photo, at varying distances from the camera, is in focus.
Depth of field is determined by the aperture setting on the lens (unless you use new techniques of splicing multiple images together).
The aperture is the adjustable hole in the camera lens through which the light passes to reach the camera's sensor (or the film on older cameras).
When that hole is very small, the light passes only through the central part of the lens with minimal distortion, and much more of the image is in sharp focus.
When the hole is very large, the light passes through a much larger area of curved lens and the distortion is greater, only a narrow plane of the image is in sharp focus.
Aperture is measured on camera lenses in 'f-stops'.
On a SLR camera these will be marked on one adjustable 'ring' on the lens.
Depending on the brand and lens, they can range from f 2.8 f 3.5 f 4 f 5.6 f 8 f 11 f 16 f 22 f 32
The lower the f number, the larger the 'hole' for the light to pass through; f 2.8 is a large hole, f 32 is a small hole.
Thus a photo taken at f 32 will have a greater depth-of-field than one taken at f 3.5 (see photo example below)
Aperture and shutter speed
There is a link between aperture and shutter speed.
If the 'hole' in the lens is smaller, it will take longer for the correct amount of light to get to the receptor or film to correctly expose the image.
The 'correct amount of light' in the rough diagram below is represented by the area of the shaded rectangle.
As the aperture gets smaller, it must be left open for a longer period of time to to allow the correct amount of light to get to the receptor or film.
The length of time the light has to pass through the hole is the 'shutter speed', usually in fractions of a second.
But although they are correctly fractions of a second, they are usually marked on the camera as plain numbers: 1/60 = 60, 1/250 = 250 etc.
Thus 250 (1/250 second) is a much shorter time than 50 (1/50 second)
Thus on my Nikon D7000, all these combinations of shutter-speed and aperture for the same image will be correctly exposed:
30 (1/30 second) at f 29
100 (1/100 second) at f 16
250 (1/250 second) at f 10
500 (1/500 second) at f 7.1
So why not use the smallest aperture for the maximum depth-of-field every time ?
- Movement -– the plant is often moving in the wind, and unless you use a tripod the camera is also likely to be moving.
Thus at 1/30 second you will have good depth-of-field, but the photo will be blurred because of movement.
At 1/250 second you are most likely to stop any movement of either the plant or the camera, but the depth-of-field is less. - Isolating the plant -– often you want to have the flower in sharp focus but all the background foliage out-of-focus.
Between two parts of the text: calculated crystals =
- - -
This record from Alexandria via LeMat-Bulk describes crystalline CrCu3 at its relaxed geometry. The functional is PBEsol.

```
CrCu3
1.0
-1.9083 0.9521 -1.1732
-1.3922 -0.8599 4.0917
1.5999 4.1383 0.7558
Cr Cu
1 3
Cartesian
0.0000 0.0000 0.0000 Cr
-1.7294 1.3212 1.3603 Cu
-0.1542 2.5452 -0.2087 Cu
0.0289 2.9093 2.3140 Cu
```

- Magnetic moment: 0.470 μB per atom
- Density of states at the Fermi level: 0.68 states/eV per atom
- Symmetry: C2/m
- E_form: 267 meV per atom
- Total energy: -22.18 eV per cell

----------

# 1
Here is a relaxed Sr3ZrU2As6 crystal from the Alexandria database. Energies are from GGA-PBE.

```
Sr3ZrU2As6
1.0
-4.498 -0.508 5.633
7.137 0.300 1.091
-1.233 7.168 -1.883
U Sr As Zr
2 3 6 1
Cartesian
3.258 0.031 2.605
-0.619 -0.239 4.118
0.703 3.480 2.420
-3.170 3.211 3.932
4.575 3.749 0.909
-0.291 5.572 0.245
2.958 5.602 2.915
2.266 1.623 0.435
-0.860 5.337 4.405
1.697 1.389 4.595
-1.552 1.358 1.925
0.000 0.000 0.000
```

Results
**ΔE_f**: -12.2 eV per formula unit
**M_tot**: 0.323 μB/atom
**Electronic total energy**: -76.31 eV/f.u.

---

# 2
Here is a relaxed Ca2CdMo crystal from the Alexandria database. Energies are from GGA-PBE.

```
Ca2CdMo
1.0
-2.613 -4.556 1.724
-1.027 -5.350 -0.939
4.196 -2.486 3.238
Mo Cd Ca
1 1 2
Cartesian
0.139 -3.098 1.006
0.416 -9.294 3.018
0.200 -6.220 1.973
-3.563 -9.883 0.824
```

Results
**ΔE_f**: 2.4 eV per formula unit
**M_tot**: 0.000 μB/atom
**Electronic total energy**: -13.32 eV/f.u.

---

# 3
Here is a relaxed LiHgCl2 crystal from the Alexandria database. Energies are from GGA-PBE.

```
LiHgCl2
1.0
3.945 0.000 0.000
0.000 7.258 0.000
0.000 0.000 3.809
Cl Hg Li
2 1 1
Cartesian
0.000 0.000 0.000
1.973 3.629 0.000
1.973 0.000 1.904
0.000 3.629 1.904
```

Results
**M_tot**: 0.000 μB/atom
**Electronic total energy**: -9.31 eV/f.u.
**Uncorrected formation energy**: -0.851 eV per atom
**Energy relative to the lowest polymorph listed for this composition**: 103 meV per atom
- - -
This will make the flower stand out from the background.
Thus you want a very shallow depth-of-field, (= large aperture = low f-number, maybe f 2 or f 2.5)
Example of flower photo taken at different shutter speeds on Nikon D7000 (click to enlarge)